The First Personality Reading Based On
The Sacred Geometry Of Your Name Symbols.
Maslow's most well known contribution to Humanistic Psychology is the Hierarchy of Needs.
Crystal structures, kept here for reference =
'''
12
Lattice="9.674 -2.207 0.000 9.674 2.207 0.000 -2.044 0.000 8.698" Properties=species:S:1:pos:R:3 comment="Tb2Pm3NdTe6, optimized geometry, DFT PBE" e_tot_ev_per_atom=-5.306 magmom_total_mub_per_fu=0.00 spacegroup="C2/m, No. 12" pbc="T T T"
Tb 2.522 0.000 2.875
Tb 14.783 0.000 5.823
Pm 1.446 0.000 7.244
Pm 8.652 0.000 4.349
Pm 15.859 0.000 1.454
Nd 9.674 0.000 0.000
Te -0.457 0.000 2.204
Te 5.540 0.000 3.662
Te 4.540 0.000 7.918
Te 12.765 0.000 0.780
Te 11.764 0.000 5.036
Te 17.762 0.000 6.494

~~~~~

Below is a relaxed structure of HgC2N, with properties calculated at the PBE-GGA level.

Unit cell a=3.9845 b=3.9845 c=3.9845 alpha=60.00 beta=60.00 gamma=60.00
Closest atoms and distances in Å follow each position.
Positions (direct):
Hg 0.0000 0.0000 0.0000  8 C 2.44
C 0.2500 0.2500 0.2500  4 Hg 2.44, 4 N 2.44
C 0.7500 0.7500 0.7500  4 Hg 2.44, 4 N 2.44
N 0.5000 0.5000 0.5000  8 C 2.44

Relative energy among the computed polymorphs   1.511 eV per atom
Magnetic moment   0.000 μB per formula unit
'''
End of the crystal structures =
Abraham Maslow (1908-1970) is known as the Father of Humanistic Psychology, a school of thought that focused on the potential of the individual and his need for growth and self-actualization. It is based on the fundamental belief that people are innately good, and that deviating from this natural tendency results in social and psychological problems.
Humanistic Therapy is a style of therapy that emphasizes the basic goodness of human beings and their drive for creativity and self-actualization.
With its roots heavily in phenomenological and existential thought, it was pioneered by Abraham Maslow and Carl Rogers who broke with the earlier psychological thinkers like Freud and Skinner whom they felt were overly pessimistic about human nature.
Maslow's work was a turning point in psychology - before him, psychologists were preoccupied on mental illness and abnormality.
In contrast, Maslow focused on mental health. His humanistic psychology gave rise to other types of therapy that were guided by the same belief in man's innate goodness and potential for growth.
According to Abraham Maslow, humans have certain needs that must be fulfilled for healthy living.
Misplaced calculated crystals.
=====
Record 1
Below is an optimized crystal structure of YMgGa, with properties calculated at the GGA-PBE level.

## Properties
Symmetry: P4/nmm, No. 129

Unit cell a=4.5351 b=4.5351 c=7.1116 alpha=90.00 beta=90.00 gamma=90.00
Positions (direct):
Y1 0.0000 0.5000 0.2042
Ga1 0.5000 0.5000 0.5000
Ga2 0.0000 0.0000 0.5000
Mg1 0.0000 0.5000 0.7368
Mg2 0.5000 0.0000 0.2632
Y2 0.5000 0.0000 0.7958



Record 2
Below is an optimized crystal structure of YMgGa, with properties calculated at the GGA-PBE level.

## Properties
Symmetry: Immm, No. 71

Unit cell a=6.0554 b=4.2143 c=6.6628 alpha=108.43 beta=63.00 gamma=90.00
Positions (direct):
Y1 0.6384 0.3256 0.3682
Ga1 0.2133 0.2508 0.2184
Y2 0.0284 0.9358 0.5885
Mg1 0.0898 0.6308 0.9783
Ga2 0.4534 0.0106 0.7383
Mg2 0.5768 0.6307 0.9782



Record 3
Below is an optimized crystal structure of Y2MgGa3, with properties calculated at the GGA-PBE level.

## Properties
Symmetry: Fmmm, No. 69

Unit cell a=5.8148 b=5.8148 c=8.6234 alpha=104.93 beta=104.93 gamma=103.64
Positions (direct):
Ga1 0.3288 0.8352 0.1641
Ga2 0.1639 0.1639 0.3277
Mg1 0.6672 0.6672 0.3343
Ga3 0.8352 0.3288 0.1641
Y1 0.2460 0.2460 0.0000
Y2 0.7500 0.2500 0.5000
Ga4 0.6712 0.1648 0.8359
Mg2 0.3328 0.3328 0.6657
Y3 0.7540 0.7540 0.0000
Y4 0.2500 0.7500 0.5000
Ga5 0.8361 0.8361 0.6723
Ga6 0.1648 0.6712 0.8359



Record 4
Below is an optimized crystal structure of Y4MgGa3, with properties calculated at the GGA-PBE level.

## Properties
Symmetry: P4/mmm, No. 123

Unit cell a=5.1282 b=7.2165 c=10.2568 alpha=90.00 beta=90.00 gamma=90.00
Positions (direct):
Y1 0.5000 0.2430 0.0000
Ga1 0.5000 0.0000 0.7500
Ga2 0.5000 0.5000 0.2500
Y2 0.0000 0.7570 0.7500
Y3 0.0000 0.2430 0.7500
Ga3 0.5000 0.0000 0.2500
Y4 0.0000 0.7570 0.2500
Mg1 0.0000 0.5000 0.0000
Y5 0.0000 0.2430 0.2500
Ga4 0.0000 0.0000 0.5000
Mg2 0.0000 0.5000 0.5000
Ga5 0.0000 0.0000 0.0000
Y6 0.5000 0.7570 0.5000
Y7 0.5000 0.2430 0.5000
Y8 0.5000 0.7570 0.0000
Ga6 0.5000 0.5000 0.7500



Record 5
Below is an optimized crystal structure of YMgGa, with properties calculated at the GGA-PBE level.

## Properties
Symmetry: P-6m2, No. 187

Unit cell a=3.5807 b=4.7029 c=4.7029 alpha=120.00 beta=90.00 gamma=90.00
Positions (direct):
Ga1 0.1673 0.3333 0.6667
Mg1 0.1662 0.0000 0.0000
Y1 0.6664 0.6667 0.3333



Record 6
Below is an optimized crystal structure of Y2Mg3Ga2, with properties calculated at the GGA-PBE level.

## Properties
Symmetry: C2/m, No. 12

Unit cell a=4.3324 b=5.8041 c=7.1171 alpha=96.22 beta=90.00 gamma=111.91
Positions (direct):
Ga1 0.9120 0.8241 0.3631
Y1 0.6266 0.2532 0.3535
Ga2 0.0880 0.1759 0.6369
Mg1 0.3185 0.6370 0.1415
Mg2 0.0000 0.0000 0.0000
Mg3 0.6815 0.3630 0.8585
Y2 0.3734 0.7468 0.6465



Record 7
Below is an optimized crystal structure of YMgGa, with properties calculated at the GGA-PBE level.

## Properties
Symmetry: Pnma, No. 62

Unit cell a=7.3647 b=4.3559 c=8.6297 alpha=90.00 beta=90.00 gamma=90.00
Positions (direct):
Mg1 0.6455 0.7500 0.0574
Y1 0.0263 0.7500 0.8204
=====
The Hierarchy of needs is often presented as a pyramid. Forming the base are the Physiological Needs that are essential for survival. This includes the need for oxygen, water, and food. It is only when these lower-level needs are met to some degree that one can move up to fulfill other needs.
The second level is composed of Safety and Security needs, which includes finding stability and an environment where one is safe from harm. This might mean finding a stable job, having a house in a safe neighborhood, or having some money in the bank.
The third level refers to Love and Belonging Needs. This might mean having a partner or spouse, friends, family, a church group, or other support network.
The fourth level is composed of Esteem Needs, which may include the need for recognition, respect, dignity, confidence, and a sense of achievement. This might mean finishing a college degree, passing the bar exams, or getting ahead in one's career.
The first four levels are often referred to as deficiency needs (D-needs), and the top level is known as growth or being needs (B-needs).
Pyramid of needs
The fifth and highest level of needs is the need for Self-Actualization - the continuous need to fulfill one's potential and be the best person one can possibly be.
People who are self-actualized tend to have more "peak experiences" than those who are not. Peak experiences refer to high points in one's life - moments of extreme joy, euphoria, love, or rapture - these are defining moments when one feels whole, fully alive and in complete harmony with the universe.
According to Maslow, a peak experience involves:
Individuals in progress are, without exception, engaged in a cause that does not concern them personally. They devote themselves entirely, on the occasion of a work that is particularly dear to their hearts, to what some call "vocations" in the first, monastic sense: they have been, in a certain way, "called" and love their mission to such an extent that the dichotomy of work and joy disappears in them.
One consecrates the law to his life, another to justice, another to beauty and truth. All consecrate it, in one way or another, in search of what I have called the ontic values.
There are about fifteen of them, among which are truth, beauty and goodness ancient civilizations, but also perfection, simplicity, universality and a few others. They are the values of Being.
These values represent the meaning of life for most individuals, but many do not even recognize the existence of their "Meta-needs".
For Maslow, a person is always 'becoming' and never remains static in these terms. In self-actualization, a person comes to find a meaning to life that is important to them.
As each individual is unique, the motivation for self-actualization leads people in different directions.
They correspond to the characteristics of accomplished subjects.
They are what many people deeply aspire to, the supreme sources of satisfaction, whether consciously or unconsciously desired.
They are the ultimate goal of psychotherapy.
Each universal value is fully and exactly defined by the totality of the other universal values. This means that the truth, to be perfectly and completely defined, must also be beautiful, good, perfect, just, simple, ordered, in accordance with the law, living, global, unitary, transcending the dichotomy. It is as if all the ethical values form a unity, each one being only a reflection of the whole.
Spiritual life is thus a component of the human essence. It is an attribute of human nature. It represents an element of our true self, of our identity, of our inner core. Our higher nature is also Our deepest nature.
Man's true fulfillment depends on communion with that which transcends him.
Maslow believed that there are five types of needs that motivate us in our every day lives. At the top of Maslow's hierarchy are self-actualization needs where people have reached their full potential and have become all that they can be. According to Maslow, few people in history are said to have self-actualized.
Accomplished subjects are committed people, who devote themselves to a task outside themselves, to a vocation or a duty oh a profession exercised with love. One can speak of a vocation of mission or call to describe the deep feeling they have for their work.
We could even use the word destiny. Something for which the person is naturally conceived, which suits him, which is adapted to him, or even for which he was born. For some mothers their vocation was to raise their children. Having a baby was total fulfillment in itself, at least for a while.
For these individuals, the profession does not have an autonomous function; rather, it is a vehicle, an instrument for the embodiment of higher values.
For a highly evolved subject the law will be more synonymous with the search for justice, truth, goodness, etc. than with financial security, respectability, prestige, status, domination.
Maslow defined Self-actualization as achieving the fullest use of one's talents and interests—the need "to become everything that one is capable of becoming."
They were also "problem centered", meaning that they treated life's difficulties as problems that demanded solutions. These individuals also were comfortable being alone and had healthy personal relationships. They had only a few close friends and family rather than a large number of shallow relationships